With most codling moth traps in place and the season poised to begin this month, Alex Radu, technical manager for the Agrovista fruit team, advises growers to build control strategies around a mix of different products and actives.

Here the page breaks off for data records >
'''
No. 1
Computed, not measured: 2 unconnected molecules or ions with the total composition C5H13NO in a non-equilibrium geometry, with wB97M-V/def2-TZVPD.

XYZ file:
```
20
Properties=species:S:1:pos:R:3:forces:R:3
C 2.2832 0.0111 -0.9635 -0.32 -0.54 0.54
C 0.9455 -0.6596 -0.5769 0.19 0.90 0.23
C -0.1745 0.3481 -0.6264 -0.37 -0.36 -1.00
C -0.9689 0.4166 -1.7093 0.05 0.09 -0.24
C 0.0547 0.9852 1.7861 -0.49 -0.83 -0.18
N -0.2768 1.2434 0.3983 0.35 0.63 1.12
H 2.3597 1.0377 -0.6142 -0.28 0.18 -0.31
H 3.0927 -0.4962 -0.4749 0.54 -0.45 0.22
H 2.4427 -0.1048 -2.0194 0.08 0.46 -0.53
H 1.0392 -1.0689 0.4260 -0.13 -0.20 0.01
H 0.6920 -1.4506 -1.2726 0.11 -0.24 0.01
H -1.7689 1.1292 -1.7535 -0.30 0.39 0.08
H -0.8004 -0.1078 -2.6457 0.20 -0.25 0.41
H 0.0589 -0.0855 1.9686 0.12 -0.12 -0.01
H -0.7689 1.3381 2.4068 0.21 0.32 0.17
H 1.0091 1.3914 2.0989 0.18 0.29 0.12
H -0.7649 2.1164 0.2980 -0.18 -0.29 -0.66
H -2.6104 -1.5512 1.0903 -0.04 0.19 0.12
H -1.5459 -2.4020 0.4757 0.21 0.01 0.00
O -1.7108 -1.8526 1.2493 -0.14 -0.18 -0.11
```
Forces are in eV/Å.

## Properties
Max |F| in hartree/bohr: 0.0258
HOMO in eV: -7.564
Frontier orbital gap in eV: 8.449
Energy relative to the best compared isomer or geometry (same formula, charge and spin) in kcal/mol: 34.0
SMILES: C=C(CC)NC.O
E in eV: -8932.53614

***

No. 2
Computed, not measured: a molecular structure, C18H27Cl2N3O5PdSi2, with wB97M-V/def2-TZVPD.

XYZ file:
```
58
Properties=species:S:1:pos:R:3:forces:R:3
Pd 0.0443 -0.7479 -0.1482 0.03 -0.14 -0.15
C -0.8063 1.3547 2.4760 0.00 0.00 -0.02
Si 0.0664 -0.2748 2.0999 -0.05 -0.06 0.23
C 1.8256 -0.1344 2.7599 0.02 -0.01 -0.02
C -0.7918 -1.5936 3.1695 -0.02 0.02 0.00
C -0.8332 -1.6104 4.5663 0.00 0.00 0.01
C -1.4794 -2.6311 5.2477 -0.01 -0.01 0.00
C -2.1019 -3.6526 4.5355 0.00 0.01 0.01
C -2.0715 -3.6428 3.1489 0.00 -0.01 0.00
C -1.4191 -2.6211 2.4537 0.00 -0.01 -0.01
Si -1.3244 -2.4389 0.5667 -0.11 -0.01 0.18
C -0.8632 -4.1120 -0.1574 0.02 0.00 -0.02
C -3.0720 -2.0311 -0.0130 -0.01 0.00 -0.01
H -0.8497 1.5067 3.5606 0.00 0.03 -0.02
H -1.8212 1.3489 2.0753 0.00 0.00 0.00
H -0.2773 2.1975 2.0250 0.01 -0.01 -0.02
H 1.8113 0.3090 3.7623 0.01 -0.03 0.01
H 2.4424 0.4814 2.1051 -0.02 0.03 0.00
H 2.2901 -1.1211 2.8188 0.00 0.01 -0.01
H -0.3468 -0.8206 5.1326 0.00 0.00 0.00
H -1.4982 -2.6381 6.3325 0.00 0.00 0.00
H -2.6066 -4.4533 5.0659 0.00 0.00 0.00
H -2.5605 -4.4453 2.6030 0.01 0.00 0.00
H -1.5284 -4.8845 0.2454 0.00 0.00 -0.02
H 0.1696 -4.3625 0.0819 0.00 0.00 0.02
H -0.9647 -4.0960 -1.2447 0.00 0.02 0.00
H -3.7845 -2.7645 0.3815 -0.01 0.01 -0.02
H -3.1289 -2.0319 -1.1038 0.02 0.00 0.00
H -3.3579 -1.0330 0.3225 0.00 -0.01 0.01
N -0.0848 -1.3131 -2.3096 0.15 -0.33 -0.21
C -0.0970 -0.7235 -3.3068 -0.11 0.41 -0.03
N -0.0968 -0.0204 -4.4068 -0.08 -0.37 0.01
C 0.9984 0.8958 -4.7235 0.23 0.29 0.13
C 1.5281 0.5787 -6.1140 -0.07 -0.05 0.00
C 0.3874 0.5929 -7.1335 -0.02 0.12 -0.05
C -0.7287 -0.3713 -6.7277 0.07 0.01 0.03
C -1.2332 -0.0253 -5.3343 -0.18 0.00 0.15
'''
The page goes on >

“It is difficult to say how challenging this season will be for codling moth, but pressure always tends to be high in many top fruit areas,” says Alex. “We didn’t have a very hot summer last year, but there were some stations in our network  that recorded a partial secondary generation.”

“Control strategies will depend on the type of grower. While organic growers rely on spinosad and granulosis virus, conventional farmers still have chlorantraniliprole available, as well as pyriproxyfen and, for the time being, also indoxacarb.

Alex’s use of prediction models is key to his control strategies. The Agrovista Fruit Insight application, which utilises weather data and models, provides timely updates on crucial events such as female flight, mating, egg laying, and larval emergence, enabling him and his colleagues to recommend control measures at the most effective times.

The necessity of applying control is determined using pheromone traps; the threshold is five or more moths captured per trap per week for the first generation, while only three for the second generation. On average, egg hatching takes seven to ten days, with systems like Fruit Insight allowing for a more precise measurement by factoring daily maximum and minimum air temperatures. The first application for each generation is timed to coincide with the onset of the egg hatch.

Alex begins his conventional programmes to control the first generation with pyriproxyfen, which is applied just before egg hatching begins. It has an ovicidal and insect growth regulator inhibitory effect, particularly at that stage. He prefers this to other products, as it is less detrimental to non-target organisms.

“Our applications are based on the Fruit Insight data. Coragen is planned as a follow-up application just before we get to the peak of the larval hatch,” explains Alex.

“Depending on the length of the larval hatch period, we often must do something after Coragen. For subsequent applications, I prefer to use Carpovirusine whenever possible over other options.

“Carpovirusine is the perfect IPM tool. It is target-specific with no negative impact on beneficials and non-target species. We get very good control from Carpovirusine but must be mindful of its persistence during adverse weather patterns.”

Misplaced calculated molecules:
____________
No. 1
Computed, not measured: 3 unconnected molecules or ions with the total composition C4H11NO2 at a distorted geometry, with ωB97M-V/def2-TZVPD.

Values from the calculation:
E_tot (a.u.): -364.17251
E_LUMO (eV): 0.82
SMILES: C=N/C=C/C.O.O
E_HOMO (hartree): -0.3332
Relative energy (zero: lowest compared OMol25 entry of this formula, charge and spin) (kcal per mole): 60.0
Frontier orbital gap (Ha): 0.363

Geometry (Å):
O1 -0.158 -3.796 -1.285
O2 -3.435 4.321 2.551
N1 0.661 -0.292 1.445
C1 -0.425 -0.552 2.013
C2 1.865 0.144 -2.130
C3 1.657 0.374 -0.654
C4 0.662 -0.178 0.026
H1 -0.459 -0.574 3.093
H2 -4.232 4.753 2.852
H3 -1.330 -0.912 1.497
H4 2.436 0.836 -0.060
H5 -3.233 4.377 1.619
H6 2.869 -0.265 -2.245
H7 -0.294 -4.412 -2.006
H8 -0.170 -0.786 -0.360
H9 0.748 -3.497 -1.170
H10 1.693 1.051 -2.720
H11 1.144 -0.594 -2.467



No. 2
Computed, not measured: a single C10H10O molecule at a distorted geometry, with ωB97M-V/def2-TZVPD.

Values from the calculation:
E_tot (a.u.): -462.17005
E_LUMO (eV): 0.83
SMILES: C[C@H]1c2ccccc2[C@H]2O[C@H]21
E_HOMO (hartree): -0.2950
Relative energy (zero: lowest compared OMol25 entry of this formula, charge and spin) (kcal per mole): 87.2
Frontier orbital gap (Ha): 0.326

Geometry (Å):
O1 2.315 -0.940 -0.495
C1 2.355 0.296 0.265
C2 1.069 0.580 0.922
C3 0.222 -0.158 -1.342
C4 1.748 -0.127 -1.430
C5 -0.066 0.268 0.111
C6 0.766 0.967 2.202
C7 -0.586 -1.522 -1.550
C8 -1.384 0.265 0.500
C9 -1.593 0.644 1.845
C10 -0.532 1.093 2.595
H1 3.241 0.819 0.518
H2 -1.669 -1.333 -1.351
H3 -0.364 -2.423 -0.902
H4 1.492 1.294 2.995
H5 -0.606 -1.831 -2.621
H6 2.351 0.326 -2.188
H7 -0.736 1.453 3.592
H8 -2.593 0.581 2.198
H9 -0.180 0.720 -2.045
H10 -2.068 0.036 -0.260



No. 3
Computed, not measured: 8 unconnected molecules or ions with the total composition C30H46FNO22 at a distorted geometry, with ωB97M-V/def2-TZVPD.

Values from the calculation:
E_tot (a.u.): -2980.45471
E_LUMO (eV): -0.22
SMILES: CC1(C)CCCC(C)(C)N1O.O=C1OC[C@@H](F)O1.O=C1OCCO1.O=C1OCCO1.O=C1OCCO1.O=C1OCCO1.O=C1OCCO1.O=C1OCCO1
E_HOMO (hartree): -0.3091
Frontier orbital gap (Ha): 0.301

Geometry (Å):
F1 3.206 -30.578 -29.760
O1 3.492 -36.693 -19.883
O2 10.010 -36.356 -28.616
O3 -2.234 -32.010 -32.023
O4 1.894 -27.932 -24.190
O5 5.459 -36.276 -20.673
O6 -3.300 -37.361 -26.309
O7 2.950 -29.642 -23.189
O8 -3.810 -39.290 -27.142
O9 12.166 -31.984 -23.343
O10 3.863 -36.973 -22.066
O11 -4.247 -32.769 -31.479
O12 -1.809 -38.794 -26.076
O13 7.476 -28.010 -31.711
O14 0.846 -29.382 -22.730
O15 -3.983 -31.344 -33.187
O16 7.837 -36.548 -28.331
O17 2.597 -31.719 -27.951
O18 2.585 -33.411 -26.636
O19 7.220 -29.529 -33.354
O20 9.051 -29.588 -32.036
O21 8.722 -35.904 -30.326
O22 4.410 -32.935 -27.850
N1 11.384 -30.982 -22.775
C1 9.067 -29.946 -22.648
C2 -1.819 -31.370 -33.240
C3 7.895 -28.948 -32.258
C4 -3.041 -38.596 -26.514
C5 -3.532 -32.129 -32.176
C6 3.563 -30.875 -28.531
C7 -2.968 -30.566 -33.724
C8 8.831 -36.220 -29.141
C9 8.885 -30.556 -21.266
C10 1.266 -30.471 -21.880
____________

If there is a second generation, Alex’s programs are based exclusively on Carpovirusine.  This is because it has zero residues and only a one-day pre-harvest interval.

“For organic growers, we start with Carpovirusine. We then often need to use Tracer (spinosad), which is timed for the peak of larval hatch. We use this for two reasons: it gives robust control of codling moths and also controls tortrix moth species.

“The peak of the codling moth hatch quite often coincides with tortrix activity,” adds Alex.

Alex is confident that codling moth programmes will deliver good control for conventional and organic growers if applications are timed correctly.